UPDATE: Since writing this post I've received many, many requests from librarians around the world (!) wanting to join this PD group in Edmodo. This is wonderful and I am so flattered! However, I'm leaving the decision to open the group up to my local colleagues for whom the training was initially intended. So... if you've sent me a request to join, I won't be approving those until after August 30th (if at all). If my local group decides they want to keep this training closed, I may create a SECOND group for others to join. In the meantime, thank you all so much wanting to share and learn with me! I will update this post again once a decision is reached. Stay tuned!
In addition to providing professional development for my school, I also get to plan, coordinate and, in many cases, deliver PD to the other librarians in my county. This is a job that I am always very excited about at the beginning of the year, but then less so as the school year progresses. Don't get me wrong, I LOVE learning and sharing - and, to be frank, there's always some new _________ that I just can't wait to tell everybody about. It's just that as real life and the demands of running a hustling/bustling media center kick in, the harder it is to devote the time necessary to plan multiple, meaningful staff development opportunities for the 36 other rock stars that I work with. So... this year, I'm trying something new.
In addition to several other (some optional, some mandatory) PD training that we'll participate in this year, I've designed a year long, totally gamified, PD Game for my colleagues that explores 21st Century Literacies in the 21st Century Media Center.
Level Up Literacy PD from Jennifer LaGarde"Level Up" Image Designed and Shared by Matthew Winner
Now, before I go any further, I should say that this is a total ripoff remix of Tamara Cox's work which was, at least in part, inspired by the reading and learning we've been doing all summer as a part of Level Up Book Club - which, as I've written about before, is an online community of librarians, teachers and other educators who are interested in exploring game based learning and the gamification of education. I gotta tell you, this learning has been the best part of my summer, but now I'm anxious to put all that I've learned to work both at my school and in my district. Which brings me back to the task at hand.
<<<
Computed, not measured: an optimized crystal structure of TlFeP2O8 at the GGA+U level of DFT.

* uncorrected energy: -6.54 eV per atom
* total magnetic moment: 10.10 μB per cell

```
data_TlFeP2O8
_cell_length_a 6.826
_cell_length_b 6.826
_cell_length_c 5.871
_cell_angle_alpha 90.00
_cell_angle_beta 90.00
_cell_angle_gamma 90.00
_space_group_name_H-M_alt 'I -4 m 2'
_space_group_IT_number 119
_space_group_name_Hall 'I -4 -2'
loop_
_atom_site_label
_atom_site_fract_x
_atom_site_fract_y
_atom_site_fract_z
Tl1 0.000 0.000 0.000
Fe1 0.000 0.500 0.250
P1 0.000 0.000 0.500
P2 0.000 0.500 0.750
O1 0.000 0.182 0.337
O2 0.000 0.330 0.926
```

----------

No. 1
This record from Alexandria via LeMat-Bulk describes a crystal of AlPtN2O relaxed with PBEsol. The functional is meta-GGA SCAN.

Calculated values
For the density of states at the Fermi level, the calculation gives 3.102 states/eV per cell. The uncorrected formation energy is 480.1 meV/atom. As for the space-group type: P4/mmm, No. 123. The total energy comes out at -100.36 eV/cell.

Lattice parameters (Å, degrees): 3.766 3.766 3.527 90.00 90.00 90.00
Positions (direct):
Al: 0.000 0.000 0.000
Pt: 0.500 0.500 0.500
N: 0.000 0.500 0.000
N: 0.500 0.000 0.000
O: 0.000 0.000 0.500

No. 2
This record from Alexandria via LeMat-Bulk describes a crystal of Sm2AlNO3 relaxed with PBEsol. The functional is meta-GGA SCAN.

Calculated values
For the density of states at the Fermi level, the calculation gives 0.000 states/eV per cell. The uncorrected formation energy is -3134.5 meV/atom. As for the space-group type: I4mm, No. 107. The total energy comes out at -146.56 eV/cell.

Lattice parameters (Å, degrees): 6.665 6.665 6.665 148.14 148.14 45.68
Positions (direct):
Sm: 0.000 0.000 0.000
Sm: 0.289 0.289 0.000
Al: 0.650 0.650 0.000
N: 0.812 0.812 0.000
O: 0.137 0.637 0.500
O: 0.476 0.476 0.000
O: 0.637 0.137 0.500

No. 3
This record from Alexandria via LeMat-Bulk describes a crystal of AlSnN2O relaxed with PBEsol. The functional is meta-GGA SCAN.

Calculated values
For the density of states at the Fermi level, the calculation gives 3.343 states/eV per cell. The uncorrected formation energy is -111.7 meV/atom. As for the space-group type: P4/mmm, No. 123. The total energy comes out at -69.05 eV/cell.

Lattice parameters (Å, degrees): 3.846 3.846 3.613 90.00 90.00 90.00
Positions (direct):
Al: 0.000 0.000 0.000
Sn: 0.500 0.500 0.500
N: 0.000 0.500 0.000
N: 0.500 0.000 0.000
O: 0.000 0.000 0.500

No. 4
This record from Alexandria via LeMat-Bulk describes a crystal of SrAlNO2 relaxed with PBEsol. The functional is meta-GGA SCAN.

Calculated values
For the density of states at the Fermi level, the calculation gives 2.394 states/eV per cell. The uncorrected formation energy is 450.4 meV/atom. As for the space-group type: P4/mmm, No. 123. The total energy comes out at -49.53 eV/cell.

Lattice parameters (Å, degrees): 4.550 4.550 4.839 90.00 90.00 90.00
Positions (direct):
Sr: 0.000 0.000 0.000
Al: 0.500 0.500 0.500
>>>
-- Back to the article --
Of all the books #levelupbc has read so far, Jane McGonigal's Reality is Broken has been the most meaningful to me. Maybe it's because it was the first one we read or maybe it's just because McGonigal provided so many concrete examples of how game based learning/play impacts motivation, self perception and, ultimately, achievement - but either way, I continue to refer to it as I think about applying gaming elements to my instruction - and this PD is no exception. According to McGonigal, all games share four basic components and it was crucial to me that this learning opportunity contain all four. They are:
A Clear Goal: The goal for this PD is two fold. One is student driven, the other is teacher driven. For awhile now, I've been singing the song that libraries are about more than books and reading, they are about all types of literacy - but even I recognize that literacy is an evolving and sometimes murky term. So... part of what I wanted to do with this training is to explore what being literate in the 21st Century means and how libraries have to grow in order to help learners master these new literacies. Secondly, this is a big year for librarians in my state. In addition to adopting the Common Core, we're also implementing new Information Technology Standards, new professional teaching standards and a new evaluation instrument for librarians. Along with all of that has come the new requirement that all teachers (and librarians) earn "literacy" credits as part of their renewal cycle. And thus, the goal of this PD is to explore the wide range of multiple, dynamic and evolving competencies that represent new literacy AND the role of the library in helping students master these skills. To me, it's essential that, whatever the goal, it be authentic. Hopefully, the majority of participants will jump on board because of a desire prepare students for the future, but even if they're doing it only because of the credits, the need is still an authentic one and, you never know, the game may be so compelling that their motivation will shift mid-play. (A girl can dream, right?)
Rules: All good games have rules and this is no exception. Because folks will be receiving credit for this, some rules are non-negotiable, but others I was able to have a little fun with. The important thing is that the rules are outlined up front - so that all the players know what they are getting into.
A System of (Immediate) Feedback: I've decided to provide feedback in two ways. One is throughEdmodo - the entire staff development will be delivered through this online platform where players will earn badges for completing certain tasks. My kids love Edmodo, but I've never used it for PD before. Each month, I'll post several (dare I say many?) tasks that participants can choose from in order to earn badges. They can complete as many as they want - but must earn 20 badges by the end of the year. I've created a leaderboard in Google Docs and will post it occasionally so that the appropriate level of smack talk can ensue. I've also scheduled a series of 2 hour face to face meetings/work sessions (one per month) . At these meetings, I will go over tasks and answer questions as necessary - but mostly, I'll just be there to offer moral/technical assistance as well as deliver the occasional in person "pat on the back." Most of these sessions will be optional, but I know that the online game play won't be enough for some - they'll need that face to face time. Plus, scheduling 2 hours each month to work on this PD will be helpful to many of us as we try to juggle lots of other demands on our time.
Voluntary Participation: While I'd love to see all of the librarians in my district participate in this, no one will be required to play along. :)
Other stuff:
I've started creating a document/resource library in Edmodo with resources that I will either use for the quests or will just share with participants.
I uploaded a bazillion badges - which I found thanks to #levelupbc member Kristina Thoennes. This may be the least important part, but gosh is it fun!
Tasks! A lot of the tasks still only exist in my mind - my main goal is to make them meaningful - they will vary in difficulty (some requiring more work than others), but I want them all to have meaning and be applicable to what we do. The first one, which I've already posted, is designed to help set the stage. I want it to be an easy entry into the group but also set a tone and help empower the participants. Big thanks to my buddy Steven Anderson for sharing this video with me!
So... will this be a success? Of course, the jury is still out - but I'm excited about where it's headed. We've all got big years ahead of us and, for better or for worse, prescribed PD will be a part of it. It's a shame that, for many of us, the professional development outlets where we receive our best ideas: Twitter, webinars, etc., are ones for which we can receive no staff development "credit." For me, learning has to be about more than just the clock hours, but if we have to earn those hours, it would be great if we could earn them for what we consider our most meaningful learning. That said, I'm hopeful, as a greater emphasis is placed on the importance of being a connected educator, these alternative ways of learning will be recognized as legitimate forms of PD. Until then, my fingers are crossed that this will provide a different and motivating way for librarians in my district to meet, head on, the pedagogical/instructional changes that are coming our way. If you've got some super PD plans for the coming year, I hope you'll share! I'd love to steal be inspired by your work!